An Episode of the Program “Youth and Parties” from Amman Arab University and on Jordanian TV
Between two parts of the piece: records of molecules:
/*
DFT (ωB97M-V with the def2-TZVPD basis set) results for a structure of composition C7H7F5LaN4OSe3Te in a non-equilibrium geometry.

Results
Energy above the lowest of the compared OMol25 structures with the same formula, charge and spin: 0.284 eV
LUMO level: 1.94 eV
Total energy: -8568.6565 Ha
Gap between HOMO and LUMO: 6.6259 eV

Geometry as ORCA input:
```
! RIJCOSX wB97M-V def2-TZVPD def2/J DEFGRID3
* xyz -1 1
Te -2.316 -1.928 3.057
C -1.744 -1.824 -1.425
F -5.278 0.053 -0.076
Se -0.314 -2.621 1.749
C -4.645 1.222 -0.508
H 2.740 1.658 0.431
H 4.480 -1.668 -0.272
Se 0.706 0.543 2.818
F -3.401 3.049 0.129
H 5.088 -0.054 -0.446
C 1.796 -0.789 -0.760
C 2.635 1.317 -0.612
H 3.229 2.023 -1.247
N 1.798 -2.122 -0.844
F -5.611 2.106 -0.926
H 4.051 -0.536 1.027
C -3.607 1.679 0.514
H 0.897 -2.659 -1.135
H 2.717 -2.515 -0.942
Se -1.379 0.524 3.851
La -1.385 -0.007 0.722
N -1.444 -2.840 -1.937
C 4.185 -0.599 -0.051
F -4.351 1.862 1.713
N 0.739 -0.041 -0.900
C 1.127 1.300 -0.790
F -4.065 0.713 -1.643
N 2.982 -0.092 -0.703
O 0.370 2.248 -0.794
*
```
*/
So much for the records of molecules:
Amman Arab University / Deanship of Student Affairs, in cooperation with Jordanian Television, hosted the program (Youth and Parties), which was filmed and broadcast from within the University with the participation of: Professor. Khaled Bani Hamdan, Dean of Student Affairs, and Professor. Noman Al-Khatib, Professor of Constitutional Law at Amman Arab University and member of the court. Former Constitutional Council, and student Muhammad Al-Azzam from the Faculty of Law - as a youth partisan experiment, as the episode was broadcast on Jordanian TV on Friday, 12/29/2023 at (10:00) pm.
At the beginning of the episode, prof. Bani Hamdan welcomed the Jordanian Television staff on behalf of the President of Amman Arab University, Professor. Mohamad Al-Widyan. He explained through his speech that the university’s governance councils, upon the recommendation of the Deanship of Student Affairs, had amended all regulations and instructions in favor of student partisan activities in line with the directions of the Jordanian state under the leadership of His Majesty King Abdullah II bin Al Hussein, his Crown Prince Hussein bin Abdullah, the prince and patron of youth, and the Jordanian government, the Deanship of Student Affairs prepared the university environment in terms of regulations and instructions that facilitate partisan students’ partisan student activities at the university, and even went beyond that to hold a contract.
Prof. Bani Hamdan stated that students are supposed to take advantage of their presence at the university to acquire, in addition to the science and knowledge that they obtain through their academic studies, each in their specialization, multiple skills in developing their personal abilities and building themselves through the extracurricular activities that the university provides for them in various fields that are necessary. It helps them in the future of their lives in enhancing their positive role on the personal level and taking an active role in building their country.
[Unrelated to this piece: records of molecules]
'''
Arrangement 1

DFT (wB97M-V/def2-TZVPD) results for a single C13H11FN2O2 molecule.

* orbital gap: 8.964 eV
* net charge: 0
* HOMO: -8.30 eV
* 2S+1: 1
* SMILES: Cc1cc2[nH]cc([C@H]3CC(=O)NC3=O)c2cc1F

Each line ends with the Löwdin charge.
CARTESIAN COORDINATES (ANGSTROEM)
O (-2.008, 4.374, 0.806)  0.07
O (-0.531, 2.986, -3.024)  0.11
F (-1.406, -3.455, 1.372)  0.04
C (-1.941, 3.514, -0.064)  -0.45
C (-1.098, 2.817, -1.984)  -0.42
C (1.353, 1.213, -1.054)  0.00
C (0.047, 0.792, -0.838)  -0.11
C (-0.775, -1.418, 0.293)  0.06
C (1.896, -1.940, 0.725)  0.03
C (-0.407, -2.646, 0.909)  -0.21
C (0.165, -0.518, -0.185)  -0.15
C (1.509, -0.792, 0.008)  -0.22
C (0.960, -2.919, 1.111)  -0.18
N (-1.586, 3.885, -1.286)  0.20
N (2.224, 0.252, -0.528)  0.07
C (1.451, -4.200, 1.857)  -0.03
C (-1.931, 2.006, 0.107)  -0.02
C (-1.270, 1.502, -1.193)  -0.13
H (1.628, 2.085, -1.588)  0.11
H (-1.809, -1.141, 0.175)  0.11
H (2.965, -2.052, 0.919)  0.12
H (-1.201, 4.787, -1.449)  0.17
H (3.248, 0.265, -0.594)  0.16
H (0.674, -4.603, 2.536)  0.08
H (2.300, -3.993, 2.492)  0.06
H (1.709, -4.995, 1.146)  0.08
H (-2.956, 1.663, 0.155)  0.13
H (-1.344, 1.706, 0.982)  0.14
H (-1.869, 0.823, -1.804)  0.16

Arrangement 2

DFT (wB97M-V/def2-TZVPD) results for a single C13H11FN2O2 molecule.

* orbital gap: 8.863 eV
* net charge: 0
* HOMO: -8.24 eV
* 2S+1: 1
* SMILES: Cc1cc2[nH]cc([C@@H]3CC(=O)NC3=O)c2cc1F

Each line ends with the Löwdin charge.
CARTESIAN COORDINATES (ANGSTROEM)
O (0.467, -2.549, -3.604)  0.08
O (3.424, -1.899, -0.436)  0.07
F (-3.087, -1.435, 0.584)  0.06
C (1.004, -1.914, -2.717)  -0.46
C (2.385, -1.582, -1.039)  -0.38
C (2.023, 1.618, 0.428)  -0.03
C (1.418, 0.610, -0.285)  -0.14
C (-0.949, -0.562, 0.063)  0.06
C (-1.315, 1.522, 1.924)  0.04
C (-2.116, -0.512, 0.809)  -0.22
C (0.077, 0.398, 0.239)  -0.12
C (-0.109, 1.389, 1.190)  -0.19
C (-2.313, 0.567, 1.714)  -0.21
N (1.602, -2.512, -1.665)  0.20
N (1.081, 2.143, 1.281)  0.07
C (-3.561, 0.607, 2.555)  -0.05
C (1.104, -0.374, -2.663)  -0.01
C (2.040, -0.140, -1.437)  -0.15
H (3.042, 1.933, 0.335)  0.12
H (-0.900, -1.339, -0.674)  0.11
H (-1.447, 2.314, 2.655)  0.12
H (1.862, -3.510, -1.720)  0.20
H (1.254, 2.874, 1.973)  0.16
H (-3.284, 0.706, 3.612)  0.08
H (-4.179, 1.481, 2.334)  0.08
H (-4.137, -0.332, 2.397)  0.09
H (0.109, 0.049, -2.504)  0.12
H (1.565, 0.038, -3.574)  0.13
H (2.940, 0.413, -1.773)  0.16

Which structure is most stable? arrangement 2, by 3.5 kcal/mol over the runner-up.

Arrangement 1

DFT (wB97M-V/def2-TZVPD) results for a 2-piece molecular cluster, C2H8S2 overall.

* orbital gap: 9.763 eV
* net charge: 0
* HOMO: -9.08 eV
* 2S+1: 1
* SMILES: CS.CS

Each line ends with the Löwdin charge.
CARTESIAN COORDINATES (ANGSTROEM)
S (1.891, 0.472, -3.277)  0.59
C (1.776, 0.923, -1.487)  -0.48
H (0.849, 1.142, -3.814)  -0.17
H (2.838, 1.096, -1.243)  0.01
H (1.342, 0.260, -0.720)  0.02
H (1.246, 1.890, -1.457)  0.02
S (-2.262, -2.133, 2.358)  0.60
C (-1.261, -0.644, 2.093)  -0.51
'''
[End of the records of molecules]
In turn, Dr. Noman Al-Khatib explained the legal framework for party work that is constitutionally and legally protected in the parties and elections laws, which constitutes a clear guarantee from the state for everyone to carry out their role aimed at developing party life, which will contribute in the future to the existence of parliamentary governments that serve the nation and preserve its capabilities efficiently, and this is clear through the integration between the constitution, the political parties law, and the electoral law.
The student, Muhammad Al-Azzam, spoke about his partisan experience, and how he chose the party that was appropriate for him intellectually and in a way that would contribute in the future by taking his role in building his country. He encouraged his fellow students to go towards partisan work to be able to contribute to building their future and the future of the nation effectively, pointing out that the Parties Law and the Parliamentary Elections Law It is a victory for the youth, and gives them great opportunities and hope for a better future.
Misplaced records of molecules:
=====
Version i
# C2H3NO3

The molecule C2H3NO3 (ωB97M-V/def2-TZVPD, the OMol25 dataset).

Element x y z (Å)
O  2.27  -0.66  -0.03
C  1.67  0.39  0.00
N  0.33  0.38  -0.09
O  -0.26  -0.82  0.07
C  -1.60  -0.66  -0.05
O  -2.24  0.40  -0.02
H  2.11  1.35  -0.08
H  -0.12  1.27  0.30
H  -2.16  -1.64  -0.11

Computed properties:
- HOMO (eV) = -10.3
- orbital gap (eV) = 11.0548
- LUMO (eV) = 0.73
- SMILES string = O=CNOC=O

=====

Version ii
# C2H3NO3

The molecule C2H3NO3 (ωB97M-V/def2-TZVPD, the OMol25 dataset).

Element x y z (Å)
N  -1.03  0.87  0.07
C  -0.74  -0.40  -0.13
O  -1.49  -1.32  -0.23
C  0.98  -0.62  -0.17
O  1.66  0.33  -0.84
O  1.54  0.39  0.58
H  -0.44  1.38  0.64
H  -2.04  1.00  0.32
H  1.56  -1.62  -0.23

Computed properties:
- HOMO (eV) = -10.2
- orbital gap (eV) = 11.0040
- LUMO (eV) = 0.79
- SMILES string = NC(=O)C1OO1

=====

Version iii
# C2H3NO3

A cluster of 2 separate species, C2H3NO3 in total (ωB97M-V/def2-TZVPD, the OMol25 dataset).

Element x y z (Å)
O  1.14  -0.76  2.94
C  1.40  -0.22  1.94
O  1.77  0.42  1.06
C  -0.80  0.25  -1.44
N  -1.22  -0.16  -0.02
O  -0.33  -0.59  0.67
H  -1.56  0.91  -1.88
H  0.21  0.74  -1.27
H  -0.61  -0.59  -2.01

Computed properties:
- HOMO (eV) = -9.4
- orbital gap (eV) = 9.0399
- LUMO (eV) = -0.40
- SMILES string = O=C=O.CN=O

=====

Version iv
# C2H3NO3

The molecule C2H3NO3 (ωB97M-V/def2-TZVPD, the OMol25 dataset).

Element x y z (Å)
N  -1.03  0.84  -0.36
C  -0.74  -0.46  -0.10
O  -1.55  -1.31  0.26
C  0.64  -0.59  -0.15
O  0.98  -1.71  -0.33
O  1.46  0.48  0.14
H  -2.01  1.09  -0.16
H  -0.28  1.42  0.09
H  2.52  0.23  0.61

Computed properties:
- HOMO (eV) = -10.5
- orbital gap (eV) = 10.3386
- LUMO (eV) = -0.14
- SMILES string = NC(=O)C(=O)O

=====

Least stable: version ii

=====

Version i
# C2H3NO3

The molecule C2H3NO3 (ωB97M-V/def2-TZVPD, the OMol25 dataset).

Element x y z (Å)
O  2.46  0.04  -0.84
C  1.26  0.13  -0.89
N  0.38  -0.31  0.04
C  -1.19  -0.39  0.74
O  -1.78  -1.35  1.04
O  -1.59  0.87  0.71
H  0.81  0.77  -1.68
H  0.55  -1.05  0.70
H  -0.90  1.30  0.18

Computed properties:
- HOMO (eV) = -10.4
- orbital gap (eV) = 10.8123
- LUMO (eV) = 0.37
- SMILES string = O=CNC(=O)O

=====

Version ii
# C2H3NO3

The molecule C2H3NO3 (ωB97M-V/def2-TZVPD, the OMol25 dataset).

Element x y z (Å)
N  -0.94  0.14  0.00
C  -0.16  -0.91  0.01
O  -0.35  -2.04  -0.03
C  1.55  -0.25  -0.18
O  1.55  0.78  -1.06
O  1.84  0.97  0.30
H  -0.56  1.09  -0.14
H  -1.93  0.02  0.03
H  2.33  -1.07  -0.03

Computed properties:
- HOMO (eV) = -9.7
- orbital gap (eV) = 10.5251
- LUMO (eV) = 0.85
- SMILES string = NC(=O)C1OO1

=====

Least stable: version ii

=====

Version i
# C4H9O

The ion C4H9O with charge -1 (ωB97M-V/def2-TZVPD, the OMol25 dataset).

Element x y z (Å)
C  -1.24  1.00  -0.44
C  -0.75  0.27  0.83
C  0.57  -0.47  0.69
C  1.31  -0.63  -0.64
O  1.58  -1.94  -0.93
H  -2.33  0.72  -0.64
H  -0.87  0.41  -1.32
H  -1.00  1.99  -0.67
H  -0.60  0.98  1.71
H  -1.46  -0.59  0.90
H  1.22  0.11  1.42
=====
Back to the article:
It is noteworthy that the seminar witnessed the interaction of many of the attending students through many informed interventions and many purposeful questions that reflect clear intellectual awareness and their true desire to take their role in building the future of their country. To watch the full episode, follow the following link: Click here